nerdinmich (May 3, 2010)
Crystal structures from another source follow:
=====
# Hg5Se2O8, relaxed, DFT PBE-GGA
data_Hg5Se2O8
_chemical_formula_sum 'Hg20 Se8 O32'
_space_group_name_H-M_alt 'P 1'
_space_group_IT_number 1
_cell_length_a 6.3731
_cell_length_b 9.5834
_cell_length_c 19.5153
_cell_angle_alpha 89.59
_cell_angle_beta 90.00
_cell_angle_gamma 109.42
loop_
_space_group_symop_operation_xyz
'x,y,z'
loop_
_atom_site_label
_atom_site_type_symbol
_atom_site_fract_x
_atom_site_fract_y
_atom_site_fract_z
Hg1 Hg 0.7823 0.9670 0.5034
Hg2 Hg 0.8153 0.0330 0.9966
Hg3 Hg 0.2177 0.0330 0.4966
Hg4 Hg 0.1847 0.9670 0.0034
Hg5 Hg 0.9289 0.6509 0.5358
Hg6 Hg 0.2780 0.3491 0.9642
Hg7 Hg 0.0711 0.3491 0.4642
Hg8 Hg 0.7220 0.6509 0.0358
Hg9 Hg 0.9329 0.8645 0.7741
Hg10 Hg 0.0684 0.1355 0.7259
Hg11 Hg 0.0671 0.1355 0.2259
Hg12 Hg 0.9316 0.8645 0.2741
Hg13 Hg 0.6902 0.5522 0.4263
Hg14 Hg 0.1380 0.4478 0.0737
Hg15 Hg 0.3098 0.4478 0.5737
Hg16 Hg 0.8620 0.5522 0.9263
Hg17 Hg 0.0140 0.5011 0.7477
Hg18 Hg 0.5129 0.4989 0.7523
Hg19 Hg 0.9860 0.4989 0.2523
Hg20 Hg 0.4871 0.5011 0.2477
Se1 Se 0.4047 0.8045 0.6263
Se2 Se 0.6002 0.1955 0.8737
Se3 Se 0.5953 0.1955 0.3737
Se4 Se 0.3998 0.8045 0.1263
Se5 Se 0.6154 0.2288 0.6414
Se6 Se 0.3867 0.7712 0.8586
Se7 Se 0.3846 0.7712 0.3586
Se8 Se 0.6133 0.2288 0.1414
O1 O 0.3523 0.1249 0.6217
O2 O 0.2274 0.8751 0.8783
O3 O 0.6477 0.8751 0.3783
O4 O 0.7726 0.1249 0.1217
O5 O 0.4235 0.8503 0.5387
O6 O 0.5732 0.1497 0.9613
O7 O 0.5765 0.1497 0.4613
O8 O 0.4268 0.8503 0.0387
O9 O 0.6418 0.2465 0.7273
O10 O 0.3953 0.7535 0.7727
O11 O 0.3582 0.7535 0.2727
O12 O 0.6047 0.2465 0.2273
O13 O 0.2061 0.3812 0.7062
O14 O 0.8249 0.6188 0.7938
O15 O 0.7939 0.6188 0.2938
O16 O 0.1751 0.3812 0.2062
O17 O 0.8011 0.1547 0.6124
O18 O 0.6465 0.8453 0.8876
O19 O 0.1989 0.8453 0.3876
O20 O 0.3535 0.1547 0.1124
O21 O 0.1181 0.7112 0.6313
O22 O 0.4069 0.2888 0.8687
O23 O 0.8819 0.2888 0.3687
O24 O 0.5931 0.7112 0.1313
O25 O 0.5144 0.6616 0.6277
O26 O 0.8529 0.3384 0.8723
O27 O 0.4856 0.3384 0.3723
O28 O 0.1471 0.6616 0.1277
O29 O 0.6610 0.4019 0.6098
O30 O 0.2591 0.5981 0.8902
O31 O 0.3390 0.5981 0.3902
O32 O 0.7409 0.4019 0.1098
# **Energy of formation from the pure elements**: -882 meV/atom
# **E**: -3.722 eV per atom
# **Volume**: 18.7 Å³ per atom

=====

# La2HfS5, relaxed, DFT PBE-GGA
data_La2HfS5
_chemical_formula_sum 'La8 Hf4 S20'
_space_group_name_H-M_alt 'P 1'
_space_group_IT_number 1
_cell_length_a 7.4765
_cell_length_b 8.1332
_cell_length_c 11.7137
_cell_angle_alpha 90.00
_cell_angle_beta 90.00
_cell_angle_gamma 90.00
loop_
_space_group_symop_operation_xyz
'x,y,z'
loop_
_atom_site_label
_atom_site_type_symbol
_atom_site_fract_x
_atom_site_fract_y
_atom_site_fract_z
La1 La 0.5356 0.0005 0.3241
La2 La 0.9644 0.4995 0.8241
La3 La 0.4644 0.5005 0.6759
La4 La 0.0356 0.9995 0.1759
La5 La 0.4644 0.9995 0.6759
La6 La 0.0356 0.5005 0.1759
La7 La 0.5356 0.4995 0.3241
La8 La 0.9644 0.0005 0.8241
Hf1 Hf 0.0726 0.7500 0.4923
Hf2 Hf 0.4274 0.7500 0.9923
Hf3 Hf 0.9274 0.2500 0.5077
Hf4 Hf 0.5726 0.2500 0.0077
S1 S 0.8357 0.5348 0.5815
=====
I recently played the "New Mission" Scenario, which is a deliberate 3 player scenario with the two allied divisions not being allowed to talk after the game starts. This is to simulate the prejudice that still existed between the white infantry and the black tank squadrons. I played the infantry, which initially set up directly in front of two building surrounded by barbed wire, mines and a tank trap. The germans in this scenario have 3 or 4 mortar units which can conveniently be placed out of range of all attacks. The infantry have few special units (3 engineers and an officer and only the side directly in front of the mines and barbed wire has any cover hexes. The tanks in their separate setup board are limited in their break through to a single forest hex on the opposite side of the board.
# Data records, kept here for reference
........
The following is a DFT calculation (GGA-PBE) of crystalline MgP2H12O11 at its relaxed geometry.

```
MgP2H12O11
1.0
7.793 0.000 0.000
2.317 7.549 0.000
0.828 3.470 8.586
Mg P H O
2 4 24 22
direct
0.142 0.232 0.289
0.858 0.768 0.711
0.084 0.098 0.680
0.230 0.435 0.914
0.770 0.565 0.086
0.916 0.902 0.320
0.009 0.321 0.785
0.175 0.632 0.506
0.177 0.737 0.862
0.257 0.896 0.073
0.295 0.978 0.063
0.314 0.013 0.832
0.315 0.440 0.383
0.336 0.834 0.419
0.359 0.500 0.592
0.404 0.414 0.232
0.469 0.961 0.372
0.500 0.267 0.872
0.500 0.733 0.128
0.531 0.039 0.628
0.596 0.586 0.768
0.641 0.500 0.408
0.664 0.166 0.581
0.685 0.560 0.617
0.686 0.987 0.168
0.705 0.022 0.937
0.743 0.104 0.927
0.823 0.263 0.138
0.825 0.368 0.494
0.991 0.679 0.215
0.021 0.796 0.212
0.042 0.907 0.733
0.050 0.222 0.510
0.066 0.499 0.808
0.245 0.272 0.068
0.259 0.614 0.937
0.294 0.057 0.719
0.305 0.582 0.488
0.330 0.362 0.318
0.341 0.967 0.384
0.400 0.372 0.811
0.600 0.628 0.189
0.659 0.033 0.616
0.670 0.638 0.682
0.695 0.418 0.512
0.706 0.943 0.281
0.741 0.386 0.063
0.755 0.728 0.932
0.934 0.501 0.192
0.950 0.778 0.490
0.958 0.093 0.267
0.979 0.204 0.788
```

Formation energy (eV/atom): -1.705
Final energy (eV/atom): -5.55

***

The following is a DFT calculation (GGA-PBE) of crystalline Mg3P2H16O16 at its relaxed geometry.

```
Mg3P2H16O16
1.0
2.341 -13.925 0.000
2.341 13.925 0.000
-1.982 0.000 9.809
Mg P H O
6 4 32 32
direct
0.076 0.924 0.750
0.183 0.817 0.750
0.373 0.627 0.750
0.627 0.373 0.250
0.817 0.183 0.250
0.924 0.076 0.250
0.296 0.558 0.063
0.442 0.704 0.437
0.558 0.296 0.563
0.704 0.442 0.937
0.037 0.504 0.793
0.083 0.462 0.564
0.083 0.905 0.374
0.095 0.917 0.126
0.136 0.585 0.125
0.154 0.815 0.371
0.175 0.196 0.651
0.185 0.846 0.129
0.187 0.337 0.550
0.196 0.175 0.151
0.327 0.402 0.123
0.337 0.187 0.050
0.402 0.327 0.623
0.415 0.864 0.375
0.462 0.083 0.064
0.496 0.963 0.707
0.504 0.037 0.293
0.538 0.917 0.936
0.585 0.136 0.625
0.598 0.673 0.377
0.663 0.813 0.950
0.673 0.598 0.877
0.804 0.825 0.849
0.813 0.663 0.450
0.815 0.154 0.871
0.825 0.804 0.349
0.846 0.185 0.629
0.864 0.415 0.875
0.905 0.083 0.874
0.917 0.095 0.626
0.917 0.538 0.436
0.963 0.496 0.207
0.031 0.399 0.654
0.055 0.315 0.148
0.056 0.582 0.848
0.132 0.280 0.643
0.148 0.408 0.907
0.157 0.208 0.147
0.208 0.157 0.647
0.210 0.564 0.410
0.280 0.132 0.143
0.300 0.468 0.409
0.315 0.055 0.648
0.399 0.031 0.154
0.408 0.148 0.407
0.418 0.944 0.652
0.436 0.790 0.090
0.468 0.300 0.909
0.532 0.700 0.091
0.564 0.210 0.910
0.582 0.056 0.348
0.592 0.852 0.593
0.601 0.969 0.846
0.685 0.945 0.352
0.700 0.532 0.591
0.720 0.868 0.857
0.790 0.436 0.590
0.792 0.843 0.353
0.843 0.792 0.853
0.852 0.592 0.093
0.868 0.720 0.357
0.944 0.418 0.152
0.945 0.685 0.852
0.969 0.601 0.346
```

Formation energy (eV/atom): -1.895
Final energy (eV/atom): -5.63
ΔE to the lowest computed polymorph (meV per atom): 0

***

The following is a DFT calculation (GGA-PBE) of crystalline MgP2H16O10 at its relaxed geometry.

```
MgP2H16O10
1.0
........
# The page goes on
I started out the first round, the only round the allies have the initiative with an engineer squad in the only hex on the set up side with a mine and removed it. During play the German player dropped repeated suppressive fire attacks on my units lined up hoping to break through and stopped there movement and prevented their movement. Then during play the German player used units inside the building and within normal range to shoot the engineer unit out of existence. Since the Germans start out on top of 4 initiative points to the Allied 2, the German took the initiative for all subsequent rounds. By round 4, with out ever having had a chance to move a single unit, every one of my 8 squads had been destroyed, 7 by mortar attacks and then the pinned unit with my officer in it was attacked by an elite unit moving out of the buildings. During all of this the tanks provided some relief and even destroyed a few units. I on the other hand got to roll a few red defensive dice and the game was over!
Inserted here: calculated crystals:
+++
# Rb4SnSe4O4

A geometry-optimized Rb4SnSe4O4 structure (PBE-GGA, the Materials Project).

a = 8.676 Å, b = 9.028 Å, c = 11.411 Å
α = 113.26°, β = 75.70°, γ = 106.91°
Fractional positions:
1 Rb 0.484 0.811 0.262
2 Rb 0.516 0.189 0.738
3 Rb 0.102 0.861 0.531
4 Rb 0.898 0.139 0.469
5 Rb 0.819 0.614 0.002
6 Rb 0.181 0.386 0.998
7 Rb 0.800 0.039 0.859
8 Rb 0.200 0.961 0.141
9 Sn 0.644 0.329 0.256
10 Sn 0.356 0.671 0.744
11 Se 0.799 0.637 0.341
12 Se 0.201 0.363 0.659
13 Se 0.893 0.179 0.188
14 Se 0.107 0.821 0.812
15 Se 0.453 0.249 0.459
16 Se 0.547 0.751 0.541
17 Se 0.505 0.291 0.074
18 Se 0.495 0.709 0.926
19 O 0.995 0.611 0.196
20 O 0.005 0.389 0.804
21 O 0.691 0.931 0.612
22 O 0.309 0.069 0.388
23 O 0.822 0.977 0.200
24 O 0.178 0.023 0.800
25 O 0.142 0.709 0.248
26 O 0.858 0.291 0.752

Calculated values
The total moment is 0.00 μB/f.u. The total energy is -4.023 eV per atom.



# Rb2USe2O12

A geometry-optimized Rb2USe2O12 structure (PBE-GGA, the Materials Project).

a = 7.720 Å, b = 11.871 Å, c = 13.977 Å
α = 90.00°, β = 90.00°, γ = 90.00°
Fractional positions:
1 Rb 0.260 0.381 0.974
2 Rb 0.760 0.619 0.026
3 Rb 0.760 0.881 0.526
4 Rb 0.260 0.119 0.474
5 Rb 0.794 0.352 0.553
6 Rb 0.294 0.648 0.447
7 Rb 0.294 0.852 0.947
8 Rb 0.794 0.148 0.053
9 U 0.099 0.597 0.750
10 U 0.599 0.403 0.250
11 U 0.599 0.097 0.750
12 U 0.099 0.903 0.250
13 Se 0.763 0.387 0.833
14 Se 0.263 0.613 0.167
15 Se 0.263 0.887 0.667
16 Se 0.763 0.113 0.333
17 Se 0.269 0.309 0.689
18 Se 0.769 0.691 0.311
19 Se 0.769 0.809 0.811
20 Se 0.269 0.191 0.189
21 O 0.095 0.608 0.880
22 O 0.595 0.392 0.120
23 O 0.595 0.108 0.620
24 O 0.095 0.892 0.380
25 O 0.104 0.584 0.620
26 O 0.604 0.416 0.380
27 O 0.604 0.084 0.880
28 O 0.104 0.916 0.120
29 O 0.094 0.252 0.639
30 O 0.594 0.748 0.361
31 O 0.594 0.752 0.861
32 O 0.094 0.248 0.139
33 O 0.582 0.442 0.875
34 O 0.082 0.558 0.125
35 O 0.082 0.942 0.625
36 O 0.582 0.058 0.375
37 O 0.721 0.275 0.759
38 O 0.221 0.725 0.241
39 O 0.221 0.775 0.741
40 O 0.721 0.225 0.259
41 O 0.856 0.478 0.755
42 O 0.356 0.522 0.245
43 O 0.356 0.978 0.745
44 O 0.856 0.022 0.255
45 O 0.214 0.418 0.763
46 O 0.714 0.582 0.237
47 O 0.714 0.918 0.737
48 O 0.214 0.082 0.263
49 O 0.422 0.596 0.757
50 O 0.922 0.404 0.243
51 O 0.922 0.096 0.743
52 O 0.422 0.904 0.257
53 O 0.360 0.218 0.768
54 O 0.860 0.782 0.232
55 O 0.860 0.718 0.732
56 O 0.360 0.282 0.268
57 O 0.895 0.349 0.919
58 O 0.395 0.651 0.081
59 O 0.395 0.849 0.581
60 O 0.895 0.151 0.419
61 O 0.406 0.351 0.605
62 O 0.906 0.649 0.395
63 O 0.906 0.851 0.895
64 O 0.406 0.149 0.105
65 O 0.642 0.589 0.564
66 O 0.142 0.411 0.436
67 O 0.142 0.089 0.936
68 O 0.642 0.911 0.064

Calculated values
The total moment is 4.00 μB/f.u. The total energy is -5.829 eV per atom.



# RbUSe2O8

A geometry-optimized RbUSe2O8 structure (PBE-GGA, the Materials Project).

a = 10.406 Å, b = 9.067 Å, c = 13.161 Å
α = 49.54°, β = 90.00°, γ = 90.00°
Fractional positions:
1 Rb 0.560 0.274 0.442
2 Rb 0.940 0.274 0.942
3 Rb 0.440 0.726 0.558
+++
If any of you have played this scenario, I would like to know what you did with the infantry, other than using them as mortar fodder. I am thinking the best setup might be to keep the units back, out of Line of Sight so the mortars can not attack them and wait until the tanks get moving enough to pin the units in the building. The only other strategy I can think of is to line up as many as I can right on the border for the first turn and use them to assault the building by first removing the one center mine hex. It looks like a suicide run but it may be the allies best chance for advance. Frankly this looks like suicide for the allied infantry and I do not understand how they managed in the real life scenario. I couldn't find much tactical information about the original battle as most of the references I found talk about the personalities and the the military strategies employed.